== Listing ==
Entry 1:
Pm4SiHgN | PBE | optimized geometry

## Properties
Raw formation energy = -707 meV per atom
DOS(E_F) = 3.63 states/eV/f.u.
Magnetic moment = 0.000 μB/cell

Cell lengths 6.8477, 15.5256, 6.8449 Å; angles 90.00, 90.00, 90.00 degrees
Space group Cmcm (No. 63)
Symmetry-distinct sites (fractional):
1 Pm 0.0000 0.0762 0.2500 x4
2 Pm 0.0000 0.4180 0.2500 x4
3 Pm 0.2500 0.2500 0.0000 x8
4 Si 0.0000 0.1180 0.7500 x4
5 Hg 0.0000 0.3860 0.7500 x4
6 N 0.0000 0.2517 0.2500 x4


Entry 2:
SrAgP2 | PBE | optimized geometry

## Properties
Raw total energy = -4.061 eV per atom
DOS(E_F) = 1.64 states/eV/f.u.
Magnetic moment = 0.000 μB/cell

Cell lengths 10.6329, 3.4357, 5.3360 Å; angles 90.00, 116.32, 90.00 degrees
Space group Cm (No. 8)
Symmetry-distinct sites (fractional):
1 Sr 0.0000 0.0000 0.0000 x2
2 Ag 0.1862 0.0000 0.6600 x2
3 P 0.2839 0.5000 0.3824 x2
4 P 0.4490 0.0000 0.4501 x2


# 1
The following is a DFT calculation (PBE) of a relaxed structure of Mg2ScBiO6.

Its uncorrected energy is -6.579 eV/atom. Its uncorrected formation energy is -2.2640 eV/atom.

Cell lengths 5.718, 5.718, 5.718 Å; angles 55.91, 55.91, 55.91 degrees
Fractional positions:
1 Mg 0.000 0.000 0.000
2 Mg 0.500 0.500 0.500
3 Sc 0.212 0.212 0.212
4 Bi 0.707 0.707 0.707
5 O 0.109 0.401 0.805
6 O 0.302 0.905 0.607
7 O 0.401 0.805 0.109
8 O 0.607 0.302 0.905
9 O 0.805 0.109 0.401
10 O 0.905 0.607 0.302


# 2
The following is a DFT calculation (PBE) of a relaxed structure of MgSc2BiO.

Its uncorrected energy is -5.802 eV/atom. Its uncorrected formation energy is -1.1822 eV/atom.

Cell lengths 4.640, 4.640, 4.280 Å; angles 90.00, 90.00, 90.00 degrees
Fractional positions:
1 Mg 0.000 0.000 0.000
2 Sc 0.000 0.500 0.500
3 Sc 0.500 0.000 0.500
4 Bi 0.500 0.500 0.000
5 O 0.000 0.000 0.500


# 3
The following is a DFT calculation (PBE) of a relaxed structure of Mg6SiBiO8.

Its uncorrected energy is -5.576 eV/atom. Its uncorrected formation energy is -1.9172 eV/atom.

Cell lengths 4.517, 4.517, 9.103 Å; angles 90.00, 90.00, 90.00 degrees
Fractional positions:
1 Mg 0.000 0.000 0.000
2 Mg 0.000 0.000 0.500
3 Mg 0.000 0.500 0.242
4 Mg 0.000 0.500 0.758
5 Mg 0.500 0.000 0.242
6 Mg 0.500 0.000 0.758
7 Si 0.500 0.500 0.000
8 Bi 0.500 0.500 0.500
9 O 0.000 0.000 0.244
10 O 0.000 0.000 0.756
11 O 0.000 0.500 0.000
12 O 0.000 0.500 0.500
13 O 0.500 0.000 0.000
14 O 0.500 0.000 0.500
15 O 0.500 0.500 0.185
16 O 0.500 0.500 0.815


# 4
The following is a DFT calculation (PBE) of a relaxed structure of Mg6SiBiO8.

Its uncorrected energy is -5.577 eV/atom. Its uncorrected formation energy is -1.9184 eV/atom.

Cell lengths 4.554, 4.554, 9.014 Å; angles 90.00, 90.00, 90.00 degrees
Fractional positions:
1 Mg 0.000 0.000 0.000
2 Mg 0.000 0.500 0.230
3 Mg 0.000 0.500 0.770
4 Mg 0.500 0.000 0.230
5 Mg 0.500 0.000 0.770
6 Mg 0.500 0.500 0.000
7 Si 0.000 0.000 0.500
8 Bi 0.500 0.500 0.500
9 O 0.000 0.000 0.231
10 O 0.000 0.000 0.769
11 O 0.000 0.500 0.000
12 O 0.000 0.500 0.500
13 O 0.500 0.000 0.000
14 O 0.500 0.000 0.500
15 O 0.500 0.500 0.225
16 O 0.500 0.500 0.775


# 5
The following is a DFT calculation (PBE) of a relaxed structure of SmMg2BiO6.

Its uncorrected energy is -6.391 eV/atom. Its uncorrected formation energy is -2.2368 eV/atom.

Cell lengths 5.831, 5.831, 5.831 Å; angles 56.44, 56.44, 56.44 degrees
Fractional positions:
1 Sm 0.000 0.000 0.000
2 Mg 0.276 0.276 0.276
3 Mg 0.780 0.780 0.780
4 Bi 0.483 0.483 0.483
5 O 0.074 0.644 0.426
6 O 0.179 0.564 0.889
7 O 0.426 0.074 0.644
8 O 0.564 0.889 0.179
9 O 0.644 0.426 0.074
10 O 0.889 0.179 0.564


# 6
The following is a DFT calculation (PBE) of a relaxed structure of Sr2MgBiO6.

Its uncorrected energy is -5.831 eV/atom. Its uncorrected formation energy is -1.9726 eV/atom.

Cell lengths 5.844, 5.883, 10.080 Å; angles 90.00, 125.04, 90.00 degrees
Fractional positions:
1 Sr 0.240 0.036 0.248
2 Sr 0.240 0.464 0.748
3 Sr 0.760 0.536 0.252
4 Sr 0.760 0.964 0.752
5 Mg 0.000 0.000 0.500
6 Mg 0.000 0.500 0.000
7 Bi 0.500 0.000 0.000

== To do ==
Next, work out how many lines above have the word "of" in them; a number is enough.

== Done ==
6